**Exercise:**
Could you return the lines underneath up to the one that holds "8.723 16.961", that line included?

**Contents:**
********
34
Lattice="8.415 0.000 0.000 4.206 7.306 0.000 4.144 2.406 7.547" Properties=species:S:1:pos:R:3 comment="MgCr3Se2S4O24, relaxed, DFT GGA+U" magmom_total_mub_per_atom=0.24 corrected_energy_ev_per_atom=-6.921 ef_ev_per_atom=-1.8375 spacegroup="P1, No. 1" energy_ev_per_atom=-6.26 pbc="T T T"
Mg 0.000 0.000 0.000
Cr 4.278 2.408 0.851
Cr 8.385 4.768 3.795
Cr 12.590 7.272 4.819
Se 6.658 7.229 2.372
Se 11.358 5.145 2.357
S 6.000 4.881 6.175
S 9.610 6.861 6.149
S 7.217 2.067 2.395
S 9.529 2.707 6.178
O 5.923 7.400 3.862
O 5.517 3.550 6.511
O 4.122 3.974 2.007
O 6.924 5.434 7.243
O 2.968 1.494 2.011
O 5.691 6.568 1.222
O 8.672 7.924 6.473
O 6.722 4.844 4.885
O 8.007 6.264 2.532
O 9.676 5.792 7.223
O 9.235 6.213 4.874
O 5.788 1.789 2.000
O 8.602 3.210 7.261
O 7.334 3.529 2.619
O 10.985 7.399 6.035
O 7.438 1.352 3.678
O 9.156 3.328 4.893
O 13.485 8.560 6.089
O 9.901 4.359 2.553
O 8.135 1.629 1.348
O 10.925 2.992 6.471
O 11.850 5.704 3.852
O 11.220 6.291 1.192
O 13.294 5.842 6.080



160
Lattice="11.142 0.000 0.000 0.000 22.740 0.000 0.000 0.000 12.793" Properties=species:S:1:pos:R:3 comment="Rb4ZnMo3O12, relaxed, DFT GGA+U" magmom_total_mub_per_atom=0.00 corrected_energy_ev_per_atom=-6.992 ef_ev_per_atom=-2.1378 spacegroup="Pbca, No. 61" energy_ev_per_atom=-6.10 pbc="T T T"
Rb 0.780 3.648 1.349
Rb 0.780 7.722 7.746
Rb 0.907 12.011 8.023
Rb 0.907 22.099 1.626
Rb 0.941 12.084 1.590
Rb 0.941 22.027 7.986
Rb 1.101 3.576 7.988
Rb 1.101 7.794 1.591
Rb 4.469 14.946 7.988
Rb 4.469 19.164 1.591
Rb 4.630 0.714 1.590
Rb 4.630 10.656 7.986
Rb 4.663 0.641 8.023
Rb 4.663 10.729 1.626
Rb 4.791 15.019 1.349
Rb 4.791 19.092 7.746
Rb 6.351 3.648 5.047
Rb 6.351 7.722 11.444
Rb 6.478 12.011 11.167
Rb 6.478 22.099 4.770
Rb 6.511 12.084 4.807
Rb 6.511 22.027 11.203
Rb 6.672 3.576 11.202
Rb 6.672 7.794 4.805
Rb 10.040 14.946 11.202
Rb 10.040 19.164 4.805
Rb 10.201 0.714 4.807
Rb 10.201 10.656 11.203
Rb 10.234 0.641 11.167
Rb 10.234 10.729 4.770
Rb 10.361 15.019 5.047
Rb 10.361 19.092 11.444
Zn 2.418 5.591 4.097
Zn 2.418 5.780 10.493
Zn 3.152 16.961 4.097
Zn 3.152 17.150 10.493
Zn 7.989 5.591 2.300
Zn 7.989 5.780 8.696
Zn 8.723 16.961 2.300
Zn 8.723 17.150 8.696
Mo 0.866 16.693 8.005
Mo 0.866 17.417 1.609
Mo 2.740 13.492 11.167
Mo 2.740 20.619 4.770
Mo 2.754 2.150 4.818
Mo 2.754 9.220 11.214
Mo 2.817 13.520 4.818
Mo 2.817 20.590 11.214
Mo 2.830 2.122 11.167
Mo 2.830 9.248 4.770
Mo 4.705 5.323 8.005
Mo 4.705 6.047 1.609
Mo 6.437 16.693 11.184
Mo 6.437 17.417 4.788
Mo 8.311 13.492 8.023
Mo 8.311 20.619 1.626
Mo 8.325 2.150 1.579
Mo 8.325 9.220 7.975
Mo 8.388 13.520 1.579
Mo 8.388 20.590 7.975
Mo 8.401 2.122 8.023
Mo 8.401 9.248 1.626
Mo 10.276 5.323 11.184
Mo 10.276 6.047 4.788
O 0.429 16.764 0.021
O 0.429 17.346 6.418
O 0.448 5.579 3.600
O 0.448 5.791 9.997
O 0.920 14.928 7.888
O 0.920 19.183 1.491
O 1.029 12.971 11.221
O 1.029 21.140 4.825
O 1.150 12.889 4.711
O 1.150 21.222 11.107
O 1.873 1.753 3.319
O 1.873 9.617 9.715
O 1.894 1.411 6.205
O 1.894 9.959 12.601
O 2.010 1.521 12.633
O 2.010 9.849 6.236
O 2.056 1.418 9.712
O 2.056 9.952 3.316
O 2.491 16.781 2.191
O 2.491 17.329 8.587
O 2.704 3.956 11.113
O 2.704 7.414 4.716
O 2.761 15.350 5.084
O 2.761 18.761 11.481
O 2.810 3.980 5.084
O 2.810 7.390 11.481
O 2.867 15.327 11.113
O 2.867 18.784 4.716
O 3.080 5.411 2.191
O 3.080 5.959 8.587
O 3.515 12.789 9.712
O 3.515 21.322 3.316
O 3.561 12.891 12.633
O 3.561 21.220 6.236
O 3.676 12.781 6.205
O 3.676 21.330 12.601
O 3.698 13.123 3.319
O 3.698 20.987 9.715
O 4.421 1.519 4.711
O 4.421 9.852 11.107
O 4.542 1.600 11.221
O 4.542 9.770 4.825
O 4.650 3.558 7.888
O 4.650 7.812 1.491
O 5.123 16.949 3.600
O 5.123 17.162 9.997
O 5.142 5.394 0.021
O 5.142 5.976 6.418
O 6.000 16.764 6.376
O 6.000 17.346 12.772
O 6.019 5.579 2.796
O 6.019 5.791 9.193
O 6.491 14.928 11.302
O 6.491 19.183 4.905
O 6.600 12.971 7.968
O 6.600 21.140 1.572
O 6.721 12.889 1.686
O 6.721 21.222 8.082
O 7.444 1.753 3.078
O 7.444 9.617 9.474
O 7.465 1.411 0.192
O 7.465 9.959 6.588
O 7.581 1.521 6.557
********

**Worked solution:**
34
Lattice="8.415 0.000 0.000 4.206 7.306 0.000 4.144 2.406 7.547" Properties=species:S:1:pos:R:3 comment="MgCr3Se2S4O24, relaxed, DFT GGA+U" magmom_total_mub_per_atom=0.24 corrected_energy_ev_per_atom=-6.921 ef_ev_per_atom=-1.8375 spacegroup="P1, No. 1" energy_ev_per_atom=-6.26 pbc="T T T"
Mg 0.000 0.000 0.000
Cr 4.278 2.408 0.851
Cr 8.385 4.768 3.795
Cr 12.590 7.272 4.819
Se 6.658 7.229 2.372
Se 11.358 5.145 2.357
S 6.000 4.881 6.175
S 9.610 6.861 6.149
S 7.217 2.067 2.395
S 9.529 2.707 6.178
O 5.923 7.400 3.862
O 5.517 3.550 6.511
O 4.122 3.974 2.007
O 6.924 5.434 7.243
O 2.968 1.494 2.011
O 5.691 6.568 1.222
O 8.672 7.924 6.473
O 6.722 4.844 4.885
O 8.007 6.264 2.532
O 9.676 5.792 7.223
O 9.235 6.213 4.874
O 5.788 1.789 2.000
O 8.602 3.210 7.261
O 7.334 3.529 2.619
O 10.985 7.399 6.035
O 7.438 1.352 3.678
O 9.156 3.328 4.893
O 13.485 8.560 6.089
O 9.901 4.359 2.553
O 8.135 1.629 1.348
O 10.925 2.992 6.471
O 11.850 5.704 3.852
O 11.220 6.291 1.192
O 13.294 5.842 6.080



160
Lattice="11.142 0.000 0.000 0.000 22.740 0.000 0.000 0.000 12.793" Properties=species:S:1:pos:R:3 comment="Rb4ZnMo3O12, relaxed, DFT GGA+U" magmom_total_mub_per_atom=0.00 corrected_energy_ev_per_atom=-6.992 ef_ev_per_atom=-2.1378 spacegroup="Pbca, No. 61" energy_ev_per_atom=-6.10 pbc="T T T"
Rb 0.780 3.648 1.349
Rb 0.780 7.722 7.746
Rb 0.907 12.011 8.023
Rb 0.907 22.099 1.626
Rb 0.941 12.084 1.590
Rb 0.941 22.027 7.986
Rb 1.101 3.576 7.988
Rb 1.101 7.794 1.591
Rb 4.469 14.946 7.988
Rb 4.469 19.164 1.591
Rb 4.630 0.714 1.590
Rb 4.630 10.656 7.986
Rb 4.663 0.641 8.023
Rb 4.663 10.729 1.626
Rb 4.791 15.019 1.349
Rb 4.791 19.092 7.746
Rb 6.351 3.648 5.047
Rb 6.351 7.722 11.444
Rb 6.478 12.011 11.167
Rb 6.478 22.099 4.770
Rb 6.511 12.084 4.807
Rb 6.511 22.027 11.203
Rb 6.672 3.576 11.202
Rb 6.672 7.794 4.805
Rb 10.040 14.946 11.202
Rb 10.040 19.164 4.805
Rb 10.201 0.714 4.807
Rb 10.201 10.656 11.203
Rb 10.234 0.641 11.167
Rb 10.234 10.729 4.770
Rb 10.361 15.019 5.047
Rb 10.361 19.092 11.444
Zn 2.418 5.591 4.097
Zn 2.418 5.780 10.493
Zn 3.152 16.961 4.097
Zn 3.152 17.150 10.493
Zn 7.989 5.591 2.300
Zn 7.989 5.780 8.696
Zn 8.723 16.961 2.300